Hi Hatchet.
I’m reporting in as half of the team of rock n roll futurenauts selected to bring coverage of SXSW 2009 to seminal rock block “http://blogs.gwhatchet.com/backstage/”. In twelve hours Ani Mamourian and I will be on a plane (and in like 29 hours we’ll be getting off as Southwest apparently only offers deals if and only if one first accepts layovers in Minneapolis and Ghana) on our way to Austin. My personal level of exuberance has been seriously diminished as I stayed in a tanning booth too long this weekend (I needed a strong base to highlight my defined cheekbones) and I am more burnt than something people typically associate with being burnt. Even after googling a series of hilarious holistic remedies (including but not limited to filling a bathtub with oatmeal and spraying vinegar onto the affected areas) I look like a bad ass fifth grader who told his mom he was too cool for SPF 45. In addition to ruining my plan to look totally hot in crowd photos it has also taken away my ability to raise my arms more than six inches and APPARENTLY aloe vera is not a legitimate cure. (1) So, that’s a bummer.
ANYWAY. I recognize that you, the Hatchet reader, are putting your faith in us, the Hatchet “writer,” to bring you an unbiased meditation on what South by Southwest means in an era of recession and how this reflects a greater change in popular culture (see: The Kevin Costner as The Mariner in Waterworld Effect) and we promise to do that. Additionally we can promise:
1- NO stupid jokes about hipsters (LOL! Hipsters are stupid! And what is the deal with those jeans?)
2- AS a corollary I will also not be making any stupid jokes about Pitchfork (LOL! Pitchfork is stupid! And what is the deal with those reviews?)
3- MANY incoherent tweets about Shaq.
4- GIFS. so many Gifs
5- REVIEWS of BBQ places in Austin
5a- THAT one was untrue
6- LOTS of talk about how I think the Hold Steady is a way awesome band
That’s about it.
The rest we’ll just kind of fake.
So come back. We’ve got plenty of aloe (science is often wrong… like that whole smoking is bad for you thing), a DSLR, a flip video camera, a hilarious rented apartment that has a mounted deer head in it, a shitton of Easter candy, and an impressive selection of neon cardigans and we promise to put them all to good use.
So here’s me:
### Data records that have nothing to do with the article
# Na9Ca2Nb4Si6P3O36

An optimized crystal structure of Na9Ca2Nb4Si6P3O36 (PBE, Materials Project).

Calculated values
Energy of formation from the pure elements, eV/atom: -2.8938
Final energy, Ha/atom: -0.2647
Mass density, Mg/m³: 3.03

Geometry as POSCAR:
```
Na9Ca2Nb4Si6P3O36
1.0
13.281 0.033 -8.903
0.025 27.491 -0.061
-0.225 -0.021 9.141
Si O Na Ca P Nb
24 144 36 8 12 16
Cartesian
11.131 21.891 -0.744 Si
11.107 12.794 -0.755 Si
8.437 19.240 -3.486 Si
4.479 26.524 3.666 Si
1.850 14.604 0.953 Si
8.478 0.874 -3.468 Si
1.784 5.478 0.996 Si
13.112 8.722 -2.023 Si
4.478 8.129 3.738 Si
8.434 26.680 0.946 Si
4.544 10.231 -0.824 Si
11.197 23.993 -5.306 Si
1.790 21.993 5.380 Si
4.612 1.067 -0.824 Si
4.511 17.387 3.802 Si
11.260 5.731 -5.282 Si
8.417 8.263 0.959 Si
11.265 14.829 -5.306 Si
11.139 3.658 -0.619 Si
4.633 19.460 -0.861 Si
1.781 12.918 5.428 Si
1.827 3.654 5.428 Si
8.480 17.416 0.946 Si
6.484 22.451 2.398 Si
3.060 15.081 0.033 O
4.573 17.875 -1.050 O
1.801 5.319 5.545 O
10.959 5.254 -0.246 O
7.694 21.664 1.544 O
0.434 12.404 4.770 O
11.110 22.391 -5.200 O
12.742 8.593 -7.783 O
5.727 3.007 3.218 O
0.694 0.538 7.787 O
9.589 10.716 -4.184 O
1.671 24.164 2.444 O
7.230 7.701 0.078 O
7.389 4.011 -1.239 O
2.961 24.445 0.237 O
7.826 24.099 -2.984 O
11.201 4.146 -5.471 O
12.673 6.235 -4.504 O
3.295 3.268 4.754 O
7.797 5.815 -3.001 O
11.327 15.526 -6.807 O
9.863 2.850 0.058 O
12.556 12.157 -0.192 O
6.028 10.845 -0.217 O
6.050 1.616 -0.150 O
12.380 16.769 -1.265 O
12.372 1.351 -5.977 O
9.727 26.193 0.133 O
7.608 3.382 1.587 O
5.928 16.677 4.428 O
7.347 14.300 3.305 O
8.182 7.788 2.602 O
9.687 1.352 -4.388 O
6.070 4.008 -3.370 O
8.407 0.869 1.092 O
12.681 24.607 -4.699 O
5.521 23.230 1.444 O
1.554 21.517 7.023 O
9.952 15.475 -4.538 O
4.457 8.629 -0.718 O
4.432 7.552 2.256 O
0.602 21.430 4.499 O
8.266 16.943 2.584 O
7.438 13.124 -1.344 O
1.056 26.281 5.906 O
5.625 5.853 -1.730 O
5.940 7.532 4.428 O
1.864 3.807 0.899 O
0.375 15.140 0.469 O
9.948 17.030 0.272 O
9.978 24.749 -4.417 O
9.880 21.177 0.118 O
5.744 15.080 -1.556 O
1.232 1.220 1.508 O
1.613 3.181 7.067 O
1.782 5.850 2.657 O
11.113 13.236 -5.428 O
4.331 18.983 4.175 O
3.207 25.728 4.338 O
5.690 21.278 3.236 O
7.087 26.166 0.288 O
3.325 10.987 0.065 O
12.593 21.294 -0.054 O
0.272 5.858 0.529 O
7.146 10.267 -4.245 O
12.130 18.578 -2.900 O
0.809 8.573 3.249 O
7.462 22.335 -1.233 O
12.334 26.113 -1.497 O
6.114 22.322 -3.362 O
4.674 1.764 -2.325 O
1.041 7.902 6.026 O
3.299 1.713 -0.056 O
1.711 12.454 7.114 O
1.752 23.669 5.442 O
12.318 7.548 -1.185 O
1.959 22.139 0.968 O
7.003 1.411 -3.952 O
7.885 14.982 -2.974 O
5.958 13.430 -3.386 O
9.921 6.375 -4.554 O
11.085 21.314 -2.226 O
6.045 19.964 -0.083 O
9.835 11.999 -0.083 O
8.435 19.612 -1.825 O
4.459 26.612 2.069 O
11.025 14.411 -0.295 O
8.586 8.410 -3.453 O
11.346 6.458 -6.744 O
8.454 19.081 1.063 O
5.681 12.351 2.985 O
8.491 1.353 -1.831 O
11.259 3.579 -2.197 O
3.249 21.532 4.788 O
4.288 9.727 3.765 O
0.981 17.111 6.008 O
7.684 12.552 1.485 O
### End of the data records
Here’s Ani:
And here’s a gif of Jordan dunking:
And if that isn’t enough I’m not sure we want you here
(1) Maenthaisong R, Chaiyakunapruk N, Niruntraporn S, Kongkaew C. The efficacy of aloe vera used for burn wound healing: a systematic review. Burns 2007; 33(6): 713-718 (http://www.crd.york.ac.uk/crdweb/ShowRecord.asp?View=Full&ID=12007003049)